

  a christmas carol教案
  the fifth period
  the adverbial
  teaching aims:
  1.review different types of adverbial so that the students have a clear understanding.
  2.get the students to do a number of exercises to help them master the grammar item.
  teaching important point:
  how to help the students to master the adverbial and use it freely.
  teaching difficult point:
  the transformation between adverbs and preposition phrases.
  teaching methods:
  1.discussion method to make the students have a clear idea about what they’ve learnt about the adverbial.
  2.pair work and inpidual work to make every student take an active part in the teaching-and-learning activities.
  teaching aids:
  1.the multimedia
  2.the blackboard
  teaching procedures:
  step ⅰ greetings and revision
  greet the whole class as usual.
  t:today,we’ll review one of the members of the sentence—the adverbial.first,look at the sentences on the screen and pay attention to the underlined part in each sentence.then tell us their functions.at last,translate them into chinese.work in pairs.
  (show the following on the screen.)
  discuss the following sentences:
  1.he is doing his homework carefully.
  2.he came here by bus.
  3.she is old enough to go to school.
  4.john is in the classroom doing his homework.
  5.all problems worked out,he went away with a light heart.
  6.he returned home,tired and upset.
  7.they walked twenty miles that day.
  8.wherever you may go,you can’t succeed without a strong will.
  (teacher goes among the students and answers the questions the students may ask.a few minutes later.)
  t:have you finished?
  t:xing li,please tell us the function of the underlined parts.
  s:they are all adverbials.
  t:what part of speech does each adverbial modify?
  s:it modifies verbs and adjectives,or a whole sentence.
  t:that’s right.generally speaking,the adverbial modifies or adds to the meanings of verbs,adjectives,or a whole sentence.usually it modifies an adverb,too.for example:i like english very much."very"modifies"much",adding to its meaning.now,please give the chinese meaning of each sentence.
  (ask some students to say the meaning of each sentence.one student,one sentence.)
  suggested answers:
  step ⅱ practice
  t:now,please look at the screen.here are some exercises for you.discuss them with your partner and choose the correct answer.
  (show the following on the screen.)
  choose the correct answer:
  a.the goods will be sent_______to you.
  b.he answered me very_______.
  a.the plane is flying_______.
  b.he was_______praised for his work.
  a.he came_______.
  b.i haven’t heard from him_______.
  a.this is_______what i wanted.
  b.you should treat him_______.
  a.you must play_______.
  b.he did_______well in his exam.
  a.the coins were buried_______in the ground.
  b.i am_______moved by the story.
  (after a few minutes,ask some students to say their answers and the meaning of each answer.)
  suggested answers:
  5.a.fair公正地 "play fair"is a set expression.
  t:now,please look at the screen,and finish another exercise.
  (show the following on the screen.)
  rewrite the sentences to make the sentences in each group have the same meaning.
  1.i hope you’ll be a careful speaker.
  i hope you’ll speak_______.
  2.what she saw there made a deep impression on her.
  what she saw there impressed her_______.
  3.he doesn’t like to speak in public.
  he doesn’t like to speak_______.
  4.i was told about it in secret.
  i was told about it_______.
  (a few minutes later,check the answers with the whole class.)
  suggested answers:
  1.carefully   2.deeply
  3.publicly    4.secretly
  step ⅲ revision of adverbial clause
  t:we know that there are different types of adverbial clauses.look at the sentences on the screen,and try to tell what type of adverbial clause each of the sentences contains.
  (show the following sentences on the screen.)
  1.every time i catch a cold,i have pain in my back.
  2.he will work wherever the people need him.
  3.as i have brought an umbrella with me,it doesn’t matter whether it will rain or not.
  4.let’s take the front seats so that we may see more clearly.
  5.he didn’t plan his time well,so that he didn’t finish the work in time.
  6.were i to do it,i should get all of us to discuss the plan.
Between two parts of the entry: data records.
........
# 1
Below is a 2-piece molecular cluster, C2H7IN3O2S overall, with properties calculated with ωB97M-V/def2-TZVPD.

```
16
Properties=species:S:1:pos:R:3:forces:R:3:nbo_charge:R:1
C 1.2799 0.7190 1.3552 1.80 0.00 0.06 0.71
C -1.9041 -0.3256 -2.1365 -1.92 -1.43 -0.54 -0.87
N 0.0031 1.1328 -0.5470 -0.82 -0.08 -0.19 -1.00
N 1.8253 -0.2607 0.9412 -0.57 -1.66 -1.33 -0.08
N 1.2595 1.8383 1.9734 -1.99 1.81 0.98 -0.75
O -0.1978 -1.4618 -0.7889 -3.34 -0.24 0.03 -0.89
O 2.3034 -1.3442 1.5388 0.70 -0.28 1.85 -0.46
S -0.9246 0.0233 -0.7043 1.48 -0.58 -0.30 1.59
I -2.5416 -0.3629 1.1193 0.08 -0.07 0.03 -0.05
H -2.3845 0.5098 -2.5666 0.15 1.65 -0.31 0.27
H -1.3865 -0.9037 -2.9262 0.12 0.41 0.83 0.29
H -2.8334 -0.8735 -1.8113 1.30 -0.06 0.02 0.28
H 0.7097 -1.3558 -0.6819 2.70 0.59 0.33 0.49
H 0.3437 2.1770 2.3389 0.76 -0.54 -0.57 0.45
H 1.9063 2.6407 1.8880 0.15 -1.23 -0.28 0.47
H 2.5417 -2.1527 1.0078 -0.61 1.70 -0.63 0.53
```
Positions in Å, forces in eV/Å.

## Properties
frontier orbital gap	8.48	eV
total charge	+1
total energy	-29674.9008	eV
strongest force on any atom	3.35	eV Å⁻¹
energy above the lowest of the compared OMol25 structures with the same formula, charge and spin	26.9	kcal per mole
2S+1	1

=====

# 2
Below is C2H7IOSi as an isolated structure, with properties calculated with ωB97M-V/def2-TZVPD.

```
12
Properties=species:S:1:pos:R:3:forces:R:3:nbo_charge:R:1
C -2.0659 0.2450 -0.3720 0.10 -1.23 1.26 -0.65
C -0.6865 -0.3102 -0.8607 -1.73 -2.49 -2.13 -0.05
O 0.3948 -0.4284 0.0258 -1.48 -3.77 3.98 -0.71
Si 3.2267 1.3254 0.9809 -0.01 -0.03 -0.15 0.62
I 5.2096 -0.2269 0.9130 -0.47 0.21 0.23 -0.33
H -2.5121 -0.4744 0.4237 0.74 1.14 -1.31 0.20
H -2.2440 1.2565 -0.0122 0.95 0.19 0.26 0.21
H -2.6937 0.2121 -1.2384 -0.56 -0.42 -0.59 0.22
H -0.3024 0.1591 -1.8449 -0.58 -0.38 1.80 0.19
H -1.0602 -1.4508 -1.2047 1.22 2.73 0.56 0.14
H 2.6525 0.9941 2.3640 0.33 -0.24 -0.14 -0.30
H 0.0812 -1.3014 0.8256 1.50 4.29 -3.75 0.46
```
Positions in Å, forces in eV/Å.

## Properties
frontier orbital gap	7.59	eV
total charge	0
total energy	-20210.3750	eV
strongest force on any atom	5.89	eV Å⁻¹
energy above the lowest of the compared OMol25 structures with the same formula, charge and spin	79.5	kcal per mole
2S+1	1

=====

# 3
Below is one molecule with the formula C2H7N, with properties calculated with ωB97M-V/def2-TZVPD.

```
10
Properties=species:S:1:pos:R:3:forces:R:3:nbo_charge:R:1
C 0.2614 -0.4961 -0.9371 0.00 1.59 -1.10 -0.61
C 0.0415 -0.3287 0.5591 1.33 -1.55 -0.03 -0.22
H 0.8981 -1.2953 -1.3023 0.26 -0.19 0.50 0.22
H -0.6919 -0.6268 -1.4740 0.17 0.22 0.26 0.21
H 0.7236 0.4970 -1.3017 -0.60 -1.48 0.29 0.19
H -0.4763 -1.2396 0.9704 0.40 0.84 -0.23 0.18
H 1.0729 -0.2938 1.0267 -1.02 0.08 -0.19 0.16
H -0.4982 1.6301 -0.0458 -0.80 -2.63 2.96 0.35
H -0.5574 1.3163 1.7522 -0.67 -1.41 -3.20 0.36
N -0.7736 0.8370 0.7526 0.93 4.53 0.74 -0.84
```
Positions in Å, forces in eV/Å.

## Properties
frontier orbital gap	10.49	eV
total charge	0
total energy	-3676.7127	eV
........
  7.try as i might,i couldn’t lift the stone.
  8.he worked as fast as a skilled worker.
  9.you must do as the manager tells you.
  (allow the students enough time to finish the exercise.then ask some students to say their answers.)
  suggested answers:
  1.adverbial clause of time
  2.adverbial clause of place
  3.adverbial clause of cause
  4.adverbial clause of purpose
  5.adverbial clause of result
  6.adverbial clause of condition
  7.adverbial clause of concession
  8.adverbial clause of comparison
  9.adverbial clause of manner
  step ⅳ practice
  t:please finish the exercise on the screen.have a discussion with your partner.then i’ll ask some of you to read your answers to us.
  (show the following on the screen.)
  fill in the blanks with a proper conjunction.
  1.john was so tired_______he went to bed immediately after dinner.
  2.when you got lost in the forest,it seems that_______way you turn,the forest looks the same.
  3. _______he was sitting at the desk,the daydreaming peter saw figures in the sky.
  4.it will not be long_______we can have a trip to the moon.
  5.we should not attack others   we are attacked.
  6.he speaks english much better_______expected.
  7. _______you have finished your homework,you may go home now.
  8. _______it was late,they continued to discuss the matter.
  9.she talked_______she had seen the great man in person.
  suggested answers:
  1.that    2.whichever
The page is interrupted by molecular data:
(1)
Molecular formula: C47H52F3N4O2
Method: DFT, the ωB97M-V functional and the def2-TZVPD basis

Computed properties:
Charge: +1
Molar mass: 761.95 g/mol
Gap between HOMO and LUMO: 5.96 eV
Calculated total energy: -2490.85951 a.u.
F_max: 3.200 eV/A

Positions of all 108 atoms, in Å:
N -5.6114 1.6749 1.2078
C -4.8781 1.3167 0.0311
N -3.4496 1.3866 -0.1424
C -2.7416 0.1647 0.3547
C -1.3827 0.4555 1.1221
C -0.4304 1.4879 0.3905
F -0.7182 2.8199 0.6607
F -0.3087 1.2094 -0.9708
F 0.8536 1.2587 0.9293
N -5.5856 0.8377 -0.9899
C -4.9853 0.3850 -2.2729
O -5.8894 -0.5989 -2.8209
N -5.1673 -1.7263 -3.1710
O -5.5902 -2.6654 -2.5984
H -6.3972 2.2851 0.9235
H -5.0465 2.1993 1.8846
H -3.0467 2.2589 0.2146
H -2.4938 -0.5222 -0.5265
H -3.3794 -0.4749 1.0530
H -0.8027 -0.5303 1.1394
H -1.5182 0.7273 2.2219
H -6.6128 0.7494 -0.8814
H -3.9747 -0.1139 -2.1564
H -4.8471 1.2834 -2.9469
C 2.7317 -1.1474 -2.2768
C 1.7099 -0.3095 -2.7118
C 1.5698 -0.0280 -4.0669
C 2.4461 -0.5923 -4.9885
C 3.4653 -1.4324 -4.5538
C 3.6111 -1.7069 -3.1976
H 2.8430 -1.3642 -1.2199
H 1.0238 0.1242 -1.9951
H 0.7773 0.6305 -4.4053
H 2.3342 -0.3768 -6.0454
H 4.1476 -1.8732 -5.2722
H 4.4094 -2.3575 -2.8587
C -8.4179 -1.8646 -1.7549
C -8.8812 -0.5537 -1.6866
C -9.9997 -0.2482 -0.9169
C -10.6489 -1.2524 -0.2075
C -10.1840 -2.5621 -0.2727
C -9.0715 -2.8694 -1.0496
H -7.5471 -2.1008 -2.3574
H -8.3700 0.2318 -2.2365
H -10.3645 0.7720 -0.8695
H -11.5171 -1.0144 0.3965
H -10.6900 -3.3446 0.2823
H -8.7131 -3.8911 -1.1040
C 6.6421 1.5768 -2.9197
C 5.5544 1.2357 -3.7165
C 5.4680 1.7159 -5.0189
C 6.4748 2.5299 -5.5280
C 7.5643 2.8679 -4.7323
C 7.6463 2.3952 -3.4269
H 6.7078 1.2050 -1.9030
H 4.7736 0.5963 -3.3225
H 4.6165 1.4551 -5.6376
H 6.4098 2.9005 -6.5451
H 8.3499 3.5014 -5.1301
H 8.4933 2.6634 -2.8049
C 13.8374 1.7399 -2.1794
C 13.7352 3.0082 -2.7406
C 12.6045 3.3571 -3.4710
C 11.5709 2.4401 -3.6321
C 11.6714 1.1731 -3.0678
C 12.8062 0.8211 -2.3450
H 14.7207 1.4670 -1.6128
H 14.5382 3.7252 -2.6093
H 12.5279 4.3438 -3.9141
H 10.6869 2.7134 -4.1977
H 10.8645 0.4589 -3.1924
H 12.8868 -0.1686 -1.9098
C 3.2720 0.9272 2.7281
C 2.9797 2.2825 2.8485
C 3.7381 3.0853 3.6940
C 4.7951 2.5353 4.4119
C 5.0895 1.1818 4.2887
C 4.3258 0.3766 3.4505
H 2.6794 0.3000 2.0719
H 2.1607 2.7126 2.2842
H 3.5064 4.1398 3.7929
H 5.3893 3.1622 5.0672
H 5.9147 0.7538 4.8473
H 4.5525 -0.6799 3.3588
C 1.4176 -3.6037 5.0341
C 1.3169 -2.3378 4.4681
C 0.1861 -1.9912 3.7372
C -0.8491 -2.9076 3.5803
C -0.7498 -4.1724 4.1496
C 0.3850 -4.5222 4.8728
H 2.3007 -3.8753 5.6013
H 2.1207 -1.6206 4.5959
H 0.1111 -1.0055 3.2904
H -1.7342 -2.6355 3.0138
H -1.5572 -4.8862 4.0288
H 0.4647 -5.5099 5.3120
C -8.5994 -0.9629 3.7324
C -8.7893 -0.5725 5.0537
C -9.8282 -1.1200 5.7985
C -10.6717 -2.0656 5.2246
C -10.4794 -2.4587 3.9044
C -9.4462 -1.9046 3.1566
H -7.7907 -0.5332 3.1502
H -8.1275 0.1598 5.5034
H -9.9803 -0.8109 6.8264
H -11.4786 -2.4960 5.8068
H -11.1363 -3.1973 3.4579
H -9.2998 -2.2068 2.1269

Forces on atoms 1 to 3 (eV/Å):
  3.while    4.before
  5.unless    6.than
  7.since/now that
  9.as if/as though
  step ⅴ consolidation
  t:you’ve done very well.now,we’re going to do another exercise to help you use the adverbial freely.look at the screen,please.
  (show the following on the screen.)
  complete the sentences:
  1.the doctor will be here_______ (一会儿).
  2.the barber’s lies_______ (邮局对面).
  3.she was slow_______ (下定决心).
  4.he had to work_______ (站着).
  5.he entered the room, _______ (鼻子冻得通红).
  6. _______ (由老人带路),the two started toward the mountain.
  7.he had impressed her that way_______ (她第一次碰到他时).
  8. _______ (你一开了头),you must continue.
  9. _______ (他一回家),i told him about that.
  10. _______ (假如他出去了),what shall we do?
  (give the students enough time to finish the exercise and then ask some students to say their answers.)
  suggested answers:
  2.opposite the post office
  3.to make up her mind
  4.standing up
  5.his nose red with cold
  6.with the old man leading the way
  7.the first time she met him
  8.once you begin
  9.immediately he came home
  10.supposing he is out
  step ⅵ summary and homework
  t:in this class,we’ve reviewed the adverbial and done plenty of exercises.now,who will tell us what can be used as adverbials?
  s:the following can be used as adverbials:(1)adverb or adverb phrase;(2)...(cf:the design of the writing on the blackboard)
  t:that’s right.after class,review the adverbial and learn the useful words and expressions we use in the exercises by heart and try to make some other sentences with them.that’s all for today.see you tomorrow!
  ss:see you tomorrow!
  step ⅶ the design of the writing on the
  the fifth period
  the adverbial
  the following can be used as adverbials:
  1.adverb or adverb phrase
  2.preposition phrase
  3.infinitive or infinitive phrase
  4.participle or participle phrase
  5.nominative absolute phrase
  7.noun or noun phrase
  step ⅷ record after teaching
